Water cap for families may be set at €300

Water charges would be well below non-registration fee of €424

Speaking outside Irish Water headquarters in Dublin today, Minister for Environment Alan Kelly announced that 'modest' changes to water charges will be made shortly, while Irish Water managing director John Tierney apologised to customers.

The Government is considering measures to ensure the total water charges bill for families with adult children comes in well below the maximum €424 that will be levied on households that fail to register with Irish Water.

While the broad thrust of the Coalition's revised water package has now emerged, the Economic Management Council (EMC) will meet again this week to consider the plan in further detail.

The Cabinet holds its weekly meeting today, while the EMC meets tomorrow. Minister for the Environment Alan Kelly last night said the final plan would be unveiled next week, promising the charges would be "modest", and Taoiseach Enda Kenny said the Government would bring clarity on the issue "very soon".

Main elements

Unrelated to this entry: data records:
Entry 1:
C9H10N2O2 | the ωB97M-V functional and the def2-TZVPD basis

Results
- ΔE to the lowest compared entry with this formula, charge and spin: 414.0 kJ/mol
- SMILES string: CC1(C)C(=O)N=N[C@H]1c1ccco1
- Electronic energy: -608.80504 Eh
- Maximum force: 0.1064 Eh/bohr
- Lowest unoccupied orbital energy: -0.9 eV
- E_HOMO: -8.631 eV
- Orbital gap: 7.705 eV

The geometry in XYZ format:
```
23
Properties=species:S:1:pos:R:3:forces:R:3:mulliken_charge:R:1
O 1.9395 0.7494 -1.1187 -2.5 0.1 -0.6 -0.3333
O -3.6707 0.5982 0.7913 2.3 1.8 -1.7 -0.5279
N -1.2319 2.3231 -0.8581 1.1 -0.1 -0.9 -0.1819
N -2.3191 2.1607 -0.3305 -1.6 4.0 0.2 -0.3070
C -0.8532 -0.8661 0.7953 -1.2 0.5 1.2 -1.6272
C -2.3247 -0.9706 -1.3043 0.4 3.3 -0.3 -1.7822
C -0.3843 1.1072 -1.0661 -3.3 -1.6 1.1 0.4991
C -1.5726 -0.0814 -0.2793 0.7 0.5 -1.7 1.5772
C 1.3329 1.5695 0.8946 0.8 -0.2 -2.5 -0.4566
C 0.8796 1.2157 -0.3592 0.9 -0.3 0.6 -0.3223
C -2.6700 0.9341 0.1460 0.1 -5.1 1.8 0.2931
C 2.9986 0.8755 -0.3904 1.9 -0.1 1.5 -0.3756
C 2.7677 1.3526 0.8447 -2.1 0.4 -0.5 -0.6719
H 0.7754 2.1553 1.5673 -0.5 0.2 1.0 0.5449
H 3.8840 0.5531 -0.8388 1.3 -0.3 -0.5 0.5023
H 0.1299 -1.1796 0.4321 -0.3 -0.2 0.4 0.3375
H -3.2857 -1.2795 -0.9673 -0.5 -0.6 0.7 0.3877
H -1.7150 -1.7401 -1.6440 0.9 -1.5 -0.7 0.4520
H -0.1354 1.0483 -2.1742 -0.8 -0.3 1.3 0.3400
H -0.8108 -0.1941 1.6539 1.0 0.1 0.1 0.3594
H 3.4470 1.6679 1.5670 1.1 0.1 1.0 0.4661
H -1.4784 -1.6620 1.2726 0.5 0.1 -1.1 0.4066
H -2.5444 -0.2488 -2.1126 0.0 -0.7 -0.3 0.4199
```
Positions in Å, forces in eV/Å.

---

Entry 2:
C4H14N2O2 | the ωB97M-V functional and the def2-TZVPD basis

Results
- ΔE to the lowest compared entry with this formula, charge and spin: 310.4 kJ/mol
- SMILES string: NCCNCCO.O
- Electronic energy: -420.68686 Eh
- Maximum force: 0.0809 Eh/bohr
- Lowest unoccupied orbital energy: 0.7 eV
- E_HOMO: -8.561 eV
- Orbital gap: 9.263 eV

The geometry in XYZ format:
```
22
Properties=species:S:1:pos:R:3:forces:R:3:mulliken_charge:R:1
O -2.7178 2.1552 4.8333 2.4 0.3 -1.5 -0.6546
O -1.5550 1.4480 -3.2777 0.2 1.4 -2.3 -0.5246
N 0.5472 -0.5076 -1.4623 -1.0 -1.0 0.9 -0.3983
N 2.3927 -1.4729 1.7217 0.4 2.6 -0.8 -0.5407
C -1.5901 0.5048 -2.3029 0.1 0.8 4.1 -0.4097
C 1.2970 -1.4454 0.7818 -1.9 0.6 -1.3 -0.2996
C -0.3602 0.6236 -1.2078 -2.5 -2.4 0.1 -0.3989
C 1.7283 -0.6212 -0.5537 -1.8 -0.4 2.1 -0.5652
H -2.5808 0.6403 -1.7012 1.6 0.0 -1.1 0.2426
H -0.0071 -1.4305 -1.3499 1.2 2.0 -0.3 0.2223
H 0.6848 -2.3979 0.5238 2.2 0.5 0.1 0.2731
H 3.3128 -1.0835 1.4443 -1.3 -0.1 -0.4 0.2356
H 2.1092 0.3575 -0.0032 -0.6 -1.6 -2.2 0.3196
H -1.0047 1.2615 -4.0723 -0.5 -0.3 1.3 0.3147
H 0.2692 1.4638 -1.2976 0.1 1.5 -0.3 0.4175
H -0.8754 0.5971 -0.1701 1.0 0.1 -1.3 0.1824
H -1.6134 -0.5005 -2.6328 0.2 -1.2 -0.6 0.3020
H -1.9256 2.3290 4.1893 -2.5 -0.4 1.8 0.3327
H -3.4951 2.5613 4.4430 0.1 0.1 -0.2 0.3215
H 2.4056 -1.1741 -1.2253 0.7 0.4 1.2 0.2893
H 0.3704 -0.9749 1.2777 1.5 0.4 -0.7 0.1457
H 2.6081 -2.3338 2.0419 0.5 -3.5 1.4 0.1926
```

The main elements of the plan are understood to comprise the extension of a fixed charge for a number of years; addressing the issue of families with dependent adult children living at home; clarifying issues to do with PPS numbers (though the need for Irish Water customers to provide details will remain); welfare allowances and tax credits to reduce people’s bills; and overhauling the structures and governance of Irish Water, including major changes at board level.


Coalition sources said the issue of dependent children was likely to be dealt with through a family water charges cap, with speculation it may be around the €300 mark, ensuring it is well below the €424 automatically levied on those who do not register.

Political anxiety

The lower charges for families are understood to apply until metering, and the moves are designed to allay political anxiety about households who feared they would have to pay €800 or €900.

The Commission for Energy Regulation earlier this year said householders who failed to register with Irish Water would face an annual charge of €424. The regulator said this would be made up of the average charge of €278 for two adults – and they would not receive the annual free allowance of €146 a year.

Despite a number of Labour politicians calling for a referendum to ensure public ownership of water is enshrined in the Constitution, privatisation concerns are likely to be dealt with through legislation.

At a parliamentary party think-in yesterday, Fianna Fáil considered adopting a policy of abolishing Irish Water and pausing the introduction of charges among other options.